
péi chánɡ yì wù jī ɡuān
  • organization with indemnifying obligation
  1. 赔偿义务机关与审查赔偿机关相分离原则;

    Principle of separating compensation obligation organ and review compensation organ ;

  2. 此外,该修改决定还增加了赔偿义务机关应当为赔偿请求人出具收到申请的凭证,并对申请书进行初审和补正告知的义务等。

    In addition , the decision also increased the organ liable for compensation shall apply for the claimant received a certificate issued , and the application for preliminary examination and correction of the duty to inform .

  3. 税务机关及其工作人员违法行使职权侵犯管理相对人的合法权益造成损害,税务机关依法作为赔偿义务机关承担赔偿责任。

    Abstract The illegal activities dones by the tax authorities and their staffs encroach on the legitimate interest of the administrators , and the tax authorities as the indemnity obligation ones should pay for the compensation according to law .

  4. 作者试图从国家补偿的角度对野生动物致人损害的救济的法理基础,赔偿义务机关的设置等问题提出一点设想。

    From the angle of state reimbursement the writer makes an attempt to raise tentative ideas about such problems as basis of principle of law for relief of damage to people caused by wild animals , establishment of organizations with indemnifying obligation , etc.

  5. 受行政机关委托的组织或者个人在行使受委托的行政权力时侵犯公民、法人和其他组织的合法权益造成损害的,委托的行政机关为赔偿义务机关。

    An organization or individual entrusted by an administrative organ infringes upon the lawful rights and interests of a citizen , legal person or other organization and causes damage when exercising the entrusted administrative powers , shall be the organ under compensatory obligations .

  6. 相比而言,新法在国家赔偿范围、国家赔偿义务机关、国家赔偿方式和标准、国家赔偿程序四大主要内容都更加明确且更切合司法实际操作。

    In contrast , the newly revised scope of state compensation , the state organ liable for compensation , State Compensation methods and standards , state compensation program , the four major content more clear and practical operability .

  7. 赔偿请求人和赔偿义务机关对损害事实、因果关系存有争议的,赔偿委员会可以听取赔偿请求人与赔偿义务机关对损害事实及因果关系的陈述和申辩,并可以进行质证。

    The claimant and the organ liable for compensation of the damage fact , causality disputed , the compensation commission may listen to the claimant and the organ liable for compensation for damages and the causal relationship between statements and arguments , and may conduct cross-examination .

  8. 国家赔偿由本法规定的赔偿义务机关履行赔偿义务。

    The obligations of state compensation shall be performed by the organs under compensatory obligations stipulated by this Law .

  9. 决定书和赔偿金额分割单应当由共同赔偿义务机关签章确认。

    The written decision and the list of compensation separation shall be signed and confirmed by the organizations with joint compensation obligation .

  10. 赔偿请求人要求赔偿应当先向赔偿义务机关提出,也可以在申请行政复议和提起行政诉讼时一并提出。

    A claimant shall , first , file a claim for compensation with an organ under compensatory obligations and may , in the meantime , file a claim when applying for an administrative reconsideration and instituting an administrative procedure .

  11. 赔偿请求人要求赔偿,应当先向赔偿义务机关提出。

    A claimant to compensation shall first apply to the organ liable for compensation in making a demand for it .

  12. 我国国家赔偿制度关于精神损害、行政不作为和赔偿义务机关如何行使追偿权等问题,应在《国家赔偿法》中予以进一步完善。

    Spiritual harm , administrative non-execution and how to execute pursuing of the right of indemnity in our state indemnity system should be further perfected .

  13. 如:赔偿归责理由不合理、赔偿范围相对狭窄、赔偿费用过低、赔偿义务机关不明确等问题。

**Misplaced data records:**
~~~
# 1
Entry from the Open Molecules 2025 dataset: a 5-piece molecular cluster, C16H29BCl12N5O3 overall in a non-equilibrium geometry (ωB97M-V/def2-TZVPD).

## Properties
HOMO level	-11.4	eV
total charge	+1
HOMO-LUMO gap	9.25	eV

Each line ends with the Mulliken charge.
Cartesian coordinates (Å):
C (-4.1414, 5.6817, 4.1811)  -1.12
C (-4.4846, 4.8547, 2.9533)  -0.17
O (-3.5163, 3.7849, 2.7452)  -0.40
B (-3.9104, 2.5484, 3.1437)  0.42
O (-4.0702, 2.2136, 4.4628)  -0.53
N (-4.2214, 1.5372, 2.0900)  -0.18
C (-3.6041, 0.4281, 1.6741)  0.52
N (-4.0343, -0.3107, 0.6371)  -0.70
C (-3.1413, -1.2709, 0.5186)  -0.01
N (-2.1767, -1.1924, 1.4229)  0.31
C (-1.0070, -2.0447, 1.6013)  -1.02
C (0.3305, -1.3125, 1.4725)  -0.01
C (1.1585, -1.7756, 0.2763)  -1.09
C (2.4405, -0.9504, 0.1020)  -0.88
N (2.4852, -0.1965, -1.1646)  0.06
C (3.5579, 0.8169, -1.0772)  -0.83
C (1.2509, 0.5009, -1.3919)  0.69
C (0.8785, 0.6742, -2.8360)  -1.37
O (0.5720, 0.9333, -0.4814)  -0.60
N (-2.4780, -0.0946, 2.1941)  0.00
C (-1.6596, 0.3086, 3.3222)  -1.12
H (-3.0595, 5.6555, 4.3143)  0.27
H (-4.4212, 6.7229, 4.0346)  0.37
H (-4.6092, 5.2840, 5.0790)  0.29
H (-5.4756, 4.4079, 3.0684)  0.29
H (-4.4813, 5.4533, 2.0469)  0.37
H (-3.3092, 2.4415, 5.0058)  0.34
H (-5.0543, 1.7122, 1.5416)  0.27
H (-3.1453, -2.0479, -0.2281)  0.48
H (-1.0766, -2.5691, 2.5527)  0.12
H (-1.0675, -2.7798, 0.8001)  0.45
H (0.9110, -1.5230, 2.3741)  0.28
H (0.2287, -0.2296, 1.4265)  0.51
H (0.5599, -1.7844, -0.6376)  0.33
H (1.4502, -2.8124, 0.4629)  0.58
H (2.5947, -0.2934, 0.9690)  0.46
H (3.2929, -1.6291, 0.0789)  0.42
H (3.8202, 1.2158, -2.0545)  0.34
H (3.2222, 1.6537, -0.4494)  0.43
H (4.4170, 0.3828, -0.5745)  0.07
H (1.4005, 1.5614, -3.2086)  0.34
H (-0.1897, 0.8420, -2.9376)  0.38
H (1.2295, -0.1619, -3.4325)  0.32
H (-1.0608, 1.1845, 3.0709)  0.33
H (-2.3107, 0.5504, 4.1570)  0.49
H (-1.0157, -0.5106, 3.6206)  0.43
C (-0.9008, -2.4874, -5.3936)  -0.10
Cl (-0.3492, -2.6502, -3.7167)  -0.09
Cl (-1.9440, -1.0762, -5.5633)  -0.12
Cl (0.4662, -2.3998, -6.4935)  -0.05
H (-1.4812, -3.3673, -5.6365)  0.36
C (7.3712, 1.3994, 0.0762)  0.02
Cl (7.0950, 0.0748, -1.0543)  -0.11
Cl (6.5437, 2.8628, -0.4582)  -0.11
Cl (6.8550, 0.9481, 1.7025)  -0.12
H (8.4330, 1.6039, 0.1040)  0.35
C (0.4310, -5.4096, 4.1568)  0.00
Cl (-1.0624, -5.4901, 3.2130)  -0.12
Cl (1.7006, -6.3507, 3.3968)  -0.10
Cl (0.9394, -3.7246, 4.3674)  -0.10
H (0.2358, -5.8228, 5.1375)  0.35
C (2.5477, -1.0973, -10.1090)  0.07
Cl (2.5655, -2.3630, -8.8742)  -0.13
Cl (3.7153, -1.4454, -11.3775)  -0.11
Cl (0.9270, -0.8975, -10.7704)  -0.12
H (2.8325, -0.1683, -9.6339)  0.28


# 2
Entry from the Open Molecules 2025 dataset: a 2-piece molecular cluster, C16H29BClF6N3O5P2 overall in a non-equilibrium geometry (ωB97M-V/def2-TZVPD).

## Properties
HOMO level	-9.3	eV
total charge	0
HOMO-LUMO gap	8.51	eV

Each line ends with the Mulliken charge.
Cartesian coordinates (Å):
C (-3.1109, 4.6761, 0.3564)  -1.20
C (-1.9486, 3.6827, -0.1049)  -0.14
~~~

    Such as : compensation for reasons attributable to unreasonable compensation is relatively narrow , low compensation costs , compensation and other issues is not clear obligation authority .

  14. 赔偿请求人书写申请书确有困难的,可以委托他人代书;也可以口头申请,由赔偿义务机关记入笔录。

    Where the claimant has difficulty in writing the application , the claimant may entrust it with other persons or file a verbal application , which shall be recorded in writing by the organ under compensatory obligations .